Thursday, December 22, 2011

Murder case of disabled sisters solved

Three disabled sisters were found dead in the pond of their own home 2 months ago. It was reported that they went to wash themselves & all three of them drowned. The case has now been solved. The father has confessed that he killed his own daughters & he might have raped 2 of them under the influence of drugs. All along the father pretended he did not know anything, so the revelation has come as a shock.

The three girls were killed when their mother & brother were not at home. The postmortem report of the two sisters also declared that they had been raped before they were murdered. Sumaira was 16, Uzma 11 & the youngest one Nisha was just 8 year old.

Sheikh Muhammad confessed his crime once he was remanded. On October 15, Sumaira & Uzma expelled fasces in the room & that was the reason that really made the father angry. He got sleeping pills from the medical store & mixed that in Haleem (the girls specifically asked for it). Once they were unconscious, he drowned all of them in the pool of water, which was not even that deep. However, he said that he didn’t remember raping his daughters. Since he’s a drug addict, he might have raped them under the influence. He pretends that he doesn’t remember that part.

I remember when the girls were drowned in that pool, the father said he was worried as to who would have married his disabled daughters. What a bastard to have for a father! He pretended in front of the world that he was worried about the well being of his children, but he didn’t have any problem sexually assaulting them & then closing the chapter forever. What a shameless one will marry my disabled daughters, so I might as well rape them myself! This case was dubious right from the beginning. I don’t know why they essentially excluded him from investigation but later on, they took his DNA to expedite the case.

[Materials data from another source follow]
~~~
Record 1
Computed, not measured: a relaxed structure of Li3Ni5O10 at the PBE with a Hubbard U level of DFT.

## Properties
Distance to the lowest polymorph of the same formula   0.04 eV/f.u.
Formation energy   -22.4 eV/f.u.
Space group   P-1 (2)
Total magnetization   3.00 μB per formula unit

Cell: 4.991 5.850 6.494 Å, 105.39 83.05 73.96°
Element x y z (fractional)
1 O 0.319 0.670 0.886
2 O 0.095 0.081 0.284
3 O 0.105 0.519 0.315
4 O 0.534 0.719 0.511
5 O 0.667 0.881 0.089
6 O 0.868 0.473 0.683
7 O 0.523 0.259 0.472
8 O 0.332 0.127 0.917
9 O 0.881 0.930 0.715
10 O 0.677 0.341 0.128
11 Li 0.600 0.300 0.800
12 Li 0.802 0.902 0.405
13 Li 0.398 0.698 0.195
14 Ni 0.802 0.399 0.399
15 Ni 0.398 0.201 0.201
16 Ni 0.201 0.594 0.606
17 Ni 0.999 0.006 0.994
18 Ni 0.600 0.800 0.800


Record 2
Computed, not measured: a relaxed structure of Sr4Mn3Cl2O8 at the PBE with a Hubbard U level of DFT.

## Properties
Formation energy   -43.3 eV/f.u.
Space group   I4/mmm (139)

Cell: 3.920 3.920 16.672 Å, 96.75 96.75 90.00°
Element x y z (fractional)
1 Mn 0.880 0.880 0.761
2 Mn 0.120 0.120 0.239
3 Mn 0.000 0.000 0.000
4 Cl 0.215 0.215 0.429
5 Cl 0.785 0.785 0.571
6 O 0.371 0.871 0.742
7 O 0.000 0.500 0.000
8 O 0.129 0.629 0.258
9 O 0.500 0.000 0.000
10 O 0.940 0.940 0.880
11 O 0.060 0.060 0.120
12 O 0.871 0.371 0.742
13 O 0.629 0.129 0.258
14 Sr 0.322 0.322 0.644
15 Sr 0.443 0.443 0.886
16 Sr 0.678 0.678 0.356
17 Sr 0.557 0.557 0.114


Record 3
Computed, not measured: a relaxed structure of MnB2O4 at the PBE with a Hubbard U level of DFT.

## Properties
Formation energy   -18.3 eV/f.u.
Space group   P2_1/c (14)
Total magnetization   5.00 μB per formula unit

Cell: 7.548 7.179 8.888 Å, 85.93 90.00 90.00°
Element x y z (fractional)
1 B 0.433 0.818 0.138
2 B 0.564 0.794 0.869
3 B 0.101 0.698 0.120
4 B 0.902 0.688 0.884
5 B 0.933 0.182 0.362
6 B 0.601 0.302 0.380
7 B 0.402 0.312 0.616
8 B 0.567 0.182 0.862
9 B 0.936 0.794 0.369
10 B 0.899 0.302 0.880
11 B 0.598 0.688 0.384
12 B 0.399 0.698 0.620
13 B 0.067 0.818 0.638
14 B 0.436 0.206 0.131
15 B 0.098 0.312 0.116
16 B 0.064 0.206 0.631
17 O 0.558 0.740 0.031
18 O 0.438 0.703 0.286
19 O 0.657 0.489 0.422
20 O 0.058 0.260 0.469
21 O 0.843 0.489 0.922
22 O 0.004 0.010 0.672
23 O 0.248 0.832 0.083
24 O 0.752 0.778 0.307
25 O 0.558 0.770 0.531
26 O 0.942 0.740 0.531
27 O 0.062 0.703 0.786
28 O 0.252 0.222 0.193
29 O 0.562 0.297 0.714
30 O 0.752 0.168 0.917
31 O 0.442 0.230 0.469
32 O 0.748 0.168 0.417
33 O 0.058 0.230 0.969
34 O 0.938 0.297 0.214
35 O 0.504 0.990 0.828
36 O 0.996 0.990 0.328
37 O 0.443 0.676 0.783
38 O 0.942 0.770 0.031
39 O 0.943 0.324 0.717
40 O 0.343 0.511 0.578
41 O 0.496 0.010 0.172
42 O 0.748 0.778 0.807
43 O 0.248 0.222 0.693
44 O 0.442 0.260 0.969
45 O 0.057 0.676 0.283
46 O 0.252 0.832 0.583
47 O 0.157 0.511 0.078
48 O 0.557 0.324 0.217
49 Mn 0.713 0.003 0.626
50 Mn 0.213 0.997 0.874
51 Mn 0.744 0.532 0.144
52 Mn 0.256 0.468 0.856
53 Mn 0.244 0.468 0.356
54 Mn 0.787 0.003 0.126
55 Mn 0.287 0.997 0.374
~~~
[The entry goes on]

A case (371/11) had been registered whereas legal proceedings are now underway against the accused.

Few days ago, I read about this father in Saudi Arabia who raped his daughter for 7 years under the influence of drugs. However, there is no justification for sexually abusing your kids while you’re totally lost in the world of drugs. A crime remains a crime whether you’re intoxicated or not. Usually they fix the blame on females. It’s so easy to paint them as one having loose character but in this case, at least justice prevailed & the father was sentenced to receive 2080 lashes & 13 years in prison. In fact he will receive lashes in stages throughout his prison sentence. It serves him right.

And I do hope that Sheikh Muhammad also gets the kind of punishment that he deserves. A father is supposed to protect his children, not to rape & kill them. There’s one thing I could never understand – why do such people have kids in the 1st place?